• Listing:
- - -
--- A ---
{
  "formula": "C4H6N2O2",
  "method": "the ωB97M-V functional and the def2-TZVPD basis",
  "symbols": ["O", "O", "N", "N", "C", "C", "C", "C", "H", "H", "H", "H", "H", "H"],
  "coordinates": [[0.198, -1.285, -0.639], [0.247, 0.996, -0.787], [1.550, -1.347, -0.144], [1.438, 1.036, 0.019], [-1.916, -0.106, -0.480], [-1.235, -0.072, 0.927], [-0.478, -0.155, -0.318], [2.055, -0.216, 0.096], [2.041, 1.789, -0.318], [-2.223, -1.047, -0.911], [-1.254, -0.979, 1.517], [3.086, -0.313, 0.489], [-2.186, 0.855, -0.939], [-1.323, 0.841, 1.487]],
  "lumo_energy_ev": 0.86,
  "smiles": "C1=NOC2(CC2)ON1"
}



--- B ---
{
  "formula": "C4H6N2O2",
  "method": "the ωB97M-V functional and the def2-TZVPD basis",
  "symbols": ["O", "O", "N", "N", "C", "C", "C", "C", "H", "H", "H", "H", "H", "H"],
  "coordinates": [[-0.470, -1.962, -1.324], [1.610, -1.197, -1.190], [-1.779, 1.148, -0.081], [0.980, -0.037, 1.172], [-1.624, 0.043, 0.528], [-0.026, -0.109, 0.152], [-0.397, 1.244, -0.554], [0.319, -1.199, -0.849], [1.044, -0.914, 1.677], [0.120, 2.118, -0.162], [-2.335, -0.517, 1.099], [0.783, 0.700, 1.839], [2.113, -0.552, -0.667], [-0.336, 1.232, -1.642]],
  "lumo_energy_ev": 0.56
}



It is B that is the most stable of them.



--- A ---
{
  "formula": "C4H6N2O2",
  "method": "the ωB97M-V functional and the def2-TZVPD basis",
  "symbols": ["O", "O", "N", "N", "C", "C", "C", "C", "H", "H", "H", "H", "H", "H"],
  "coordinates": [[-2.670, -1.271, -0.035], [2.498, -1.495, -0.144], [1.186, 0.345, 0.449], [-1.042, 0.422, -0.297], [0.055, 1.123, 0.086], [-1.608, -0.777, 0.349], [1.508, -0.851, -0.257], [0.115, 2.452, -0.090], [-0.863, 2.650, -0.445], [-1.056, -1.141, 1.247], [0.675, -1.175, -1.048], [1.972, 0.784, 0.991], [0.906, 3.114, 0.050], [-1.685, 0.831, -0.951]],
  "lumo_energy_ev": 0.71,
  "smiles": "C=C(NC=O)NC=O"
}



--- B ---
{
  "formula": "C4H6N2O2",
  "method": "the ωB97M-V functional and the def2-TZVPD basis",
  "symbols": ["O", "O", "N", "N", "C", "C", "C", "C", "H", "H", "H", "H", "H", "H"],
  "coordinates": [[3.059, -0.104, 0.216], [1.212, -1.202, 0.150], [-1.413, -1.263, -0.637], [-2.226, 0.231, 0.974], [1.036, 1.215, -0.072], [-1.518, 0.113, -0.059], [1.849, 0.034, 0.265], [-0.355, 1.109, -0.514], [1.740, -1.809, 0.601], [-0.357, -1.509, -0.797], [-0.930, 1.909, -0.985], [-1.778, -1.897, 0.159], [-1.948, 1.125, 1.263], [1.628, 2.049, -0.562]],
  "lumo_energy_ev": -0.92,
  "smiles": "[H]/N=C(N)\\C=C/C(=O)O"
}



It is A that is the most stable of them.



--- A ---
{
  "formula": "C2H6NO",
  "method": "the ωB97M-V functional and the def2-TZVPD basis",
  "symbols": ["O", "N", "C", "C", "H", "H", "H", "H", "H", "H"],
  "coordinates": [[-1.924, 1.106, 0.487], [1.272, -0.545, -0.415], [-1.058, 0.385, -0.234], [0.322, 0.242, 0.432], [1.957, -0.992, 0.190], [-0.851, 0.798, -1.257], [-1.394, -0.681, -0.409], [0.744, -1.327, -0.801], [0.750, 1.234, 0.588], [0.181, -0.221, 1.420]],
  "total_charge": -1,
  "lumo_energy_ev": 4.69,
  "smiles": "NCC[O-]"
}



--- B ---
{
  "formula": "C2H6NO",
  "method": "the ωB97M-V functional and the def2-TZVPD basis",
  "symbols": ["O", "N", "C", "C", "H", "H", "H", "H", "H", "H"],
  "coordinates": [[2.061, 0.611, -1.050], [0.114, -0.544, -0.363], [-1.000, -0.526, 0.530], [0.912, 0.735, -0.472], [-1.080, -1.416, 1.173], [-0.837, 0.284, 1.243], [-1.918, -0.373, -0.043], [0.698, -1.324, -0.607], [0.180, 1.423, -1.003], [0.869, 1.131, 0.591]],
  "total_charge": -1,
  "lumo_energy_ev": 4.56,
  "smiles": "CNC[O-]"
}



It is A that is the most stable of them.



--- A ---
{
  "formula": "H24O12",
  "method": "the ωB97M-V functional and the def2-TZVPD basis",
  "symbols": ["O", "O", "O", "O", "O", "O", "O", "O", "O", "O", "O", "O", "H", "H", "H", "H", "H", "H", "H", "H", "H", "H", "H", "H", "H", "H", "H", "H", "H", "H", "H", "H", "H", "H", "H", "H"],
- - -

• Exercise:
Next, find the line earlier on that holds "0.71,", then write out that line and all lines after it there.

• Outcome:
  "lumo_energy_ev": 0.71,
  "smiles": "C=C(NC=O)NC=O"
}



--- B ---
{
  "formula": "C4H6N2O2",
  "method": "the ωB97M-V functional and the def2-TZVPD basis",
  "symbols": ["O", "O", "N", "N", "C", "C", "C", "C", "H", "H", "H", "H", "H", "H"],
  "coordinates": [[3.059, -0.104, 0.216], [1.212, -1.202, 0.150], [-1.413, -1.263, -0.637], [-2.226, 0.231, 0.974], [1.036, 1.215, -0.072], [-1.518, 0.113, -0.059], [1.849, 0.034, 0.265], [-0.355, 1.109, -0.514], [1.740, -1.809, 0.601], [-0.357, -1.509, -0.797], [-0.930, 1.909, -0.985], [-1.778, -1.897, 0.159], [-1.948, 1.125, 1.263], [1.628, 2.049, -0.562]],
  "lumo_energy_ev": -0.92,
  "smiles": "[H]/N=C(N)\\C=C/C(=O)O"
}



It is A that is the most stable of them.



--- A ---
{
  "formula": "C2H6NO",
  "method": "the ωB97M-V functional and the def2-TZVPD basis",
  "symbols": ["O", "N", "C", "C", "H", "H", "H", "H", "H", "H"],
  "coordinates": [[-1.924, 1.106, 0.487], [1.272, -0.545, -0.415], [-1.058, 0.385, -0.234], [0.322, 0.242, 0.432], [1.957, -0.992, 0.190], [-0.851, 0.798, -1.257], [-1.394, -0.681, -0.409], [0.744, -1.327, -0.801], [0.750, 1.234, 0.588], [0.181, -0.221, 1.420]],
  "total_charge": -1,
  "lumo_energy_ev": 4.69,
  "smiles": "NCC[O-]"
}



--- B ---
{
  "formula": "C2H6NO",
  "method": "the ωB97M-V functional and the def2-TZVPD basis",
  "symbols": ["O", "N", "C", "C", "H", "H", "H", "H", "H", "H"],
  "coordinates": [[2.061, 0.611, -1.050], [0.114, -0.544, -0.363], [-1.000, -0.526, 0.530], [0.912, 0.735, -0.472], [-1.080, -1.416, 1.173], [-0.837, 0.284, 1.243], [-1.918, -0.373, -0.043], [0.698, -1.324, -0.607], [0.180, 1.423, -1.003], [0.869, 1.131, 0.591]],
  "total_charge": -1,
  "lumo_energy_ev": 4.56,
  "smiles": "CNC[O-]"
}



It is A that is the most stable of them.



--- A ---
{
  "formula": "H24O12",
  "method": "the ωB97M-V functional and the def2-TZVPD basis",
  "symbols": ["O", "O", "O", "O", "O", "O", "O", "O", "O", "O", "O", "O", "H", "H", "H", "H", "H", "H", "H", "H", "H", "H", "H", "H", "H", "H", "H", "H", "H", "H", "H", "H", "H", "H", "H", "H"],